**Input**
/*
First-principles (PBE) data for a geometry-optimized YCuGePt2 structure, as listed in Alexandria via LeMat-Bulk.

Values from the calculation:
Calculated formation energy in meV/atom: 936
Calculated volume in A^3/atom: 26.3
SG: No. 123
Raw total energy in eV/atom: -4.515

extended XYZ file:
```
5
Lattice="5.137 0.000 0.000 0.000 5.137 0.000 0.000 0.000 4.991" Properties=species:S:1:pos:R:3 pbc="T T T"
Y 0.000 0.000 0.000
Cu 0.000 0.000 2.496
Ge 2.568 2.568 2.496
Pt 0.000 2.568 0.000
Pt 2.568 0.000 0.000
```

***

First-principles (PBE) data for a geometry-optimized YCuGePt3 structure, as listed in Alexandria via LeMat-Bulk.

Values from the calculation:
Calculated formation energy in meV/atom: -551
Calculated volume in A^3/atom: 18.5
SG: No. 63
Raw total energy in eV/atom: -6.101

extended XYZ file:
```
12
Lattice="3.386 -5.803 0.000 3.386 5.803 0.000 0.000 0.000 5.641" Properties=species:S:1:pos:R:3 pbc="T T T"
Y 3.386 3.484 4.231
Y 3.386 -3.484 1.410
Cu 3.386 0.765 4.231
Cu 3.386 -0.765 1.410
Ge 3.386 4.287 1.410
Ge 3.386 -4.287 4.231
Pt 1.450 0.000 0.000
Pt 1.450 0.000 2.821
Pt 3.386 1.901 1.410
Pt 3.386 -1.901 4.231
Pt 5.322 0.000 0.000
Pt 5.322 0.000 2.821
```


No. 1
Computed, not measured: a relaxed structure of BaNiAg2F8 at the PBE+U level of DFT.

```
BaNiAg2F8
1.0
5.506 0.000 0.000
-2.753 4.768 0.000
0.000 0.000 6.892
Ba Ni Ag F
1 1 2 8
direct
0.000 0.000 0.000
0.000 0.000 0.500
0.333 0.667 0.626
0.667 0.333 0.374
0.079 0.753 0.332
0.247 0.326 0.332
0.326 0.079 0.668
0.333 0.667 0.925
0.667 0.333 0.075
0.674 0.921 0.332
0.753 0.674 0.668
0.921 0.247 0.668
```

Properties
Total moment in μB per cell: 3.90
Energy in eV per cell: -48.47



No. 2
Computed, not measured: a relaxed structure of BaNiAg2F6 at the PBE+U level of DFT.

```
BaNiAg2F6
1.0
5.976 0.000 0.000
0.000 6.173 0.000
-5.630 0.000 8.713
Ba Ni Ag F
2 2 4 12
direct
0.000 0.000 0.000
0.000 0.500 0.500
0.500 0.000 0.500
0.500 0.500 0.000
0.273 0.063 0.753
0.273 0.437 0.253
0.727 0.563 0.747
0.727 0.937 0.247
0.155 0.080 0.289
0.155 0.420 0.789
0.292 0.660 0.069
0.292 0.840 0.569
0.436 0.222 0.082
0.436 0.278 0.582
0.564 0.722 0.418
0.564 0.778 0.918
0.708 0.160 0.431
0.708 0.340 0.931
0.845 0.580 0.211
0.845 0.920 0.711
```

Properties
Total moment in μB per cell: 3.99
Energy in eV per cell: -85.89



No. 3
Computed, not measured: a relaxed structure of Ba2Ni3AgF12 at the PBE+U level of DFT.

```
Ba2Ni3AgF12
1.0
3.629 2.095 5.737
-3.629 2.095 5.737
0.000 -4.190 5.737
Ba Ni Ag F
2 3 1 12
direct
0.112 0.112 0.112
0.888 0.888 0.888
0.000 0.500 0.500
0.500 0.000 0.500
0.500 0.500 0.000
0.500 0.500 0.500
0.084 0.635 0.635
0.211 0.211 0.630
0.211 0.630 0.211
0.365 0.365 0.916
0.365 0.916 0.365
0.370 0.789 0.789
0.630 0.211 0.211
0.635 0.084 0.635
0.635 0.635 0.084
0.789 0.370 0.789
0.789 0.789 0.370
0.916 0.365 0.365
```

Properties
Total moment in μB per cell: 6.49
Energy in eV per cell: -81.56



Please write out number 2 again, unchanged.
Computed, not measured: a relaxed structure of BaNiAg2F6 at the PBE+U level of DFT.

```
BaNiAg2F6
1.0
5.976 0.000 0.000
0.000 6.173 0.000
-5.630 0.000 8.713
Ba Ni Ag F
2 2 4 12
direct
0.000 0.000 0.000
0.000 0.500 0.500
0.500 0.000 0.500
0.500 0.500 0.000
0.273 0.063 0.753
0.273 0.437 0.253
0.727 0.563 0.747
0.727 0.937 0.247
0.155 0.080 0.289
0.155 0.420 0.789
0.292 0.660 0.069
0.292 0.840 0.569
0.436 0.222 0.082
0.436 0.278 0.582
0.564 0.722 0.418
0.564 0.778 0.918
0.708 0.160 0.431
0.708 0.340 0.931
0.845 0.580 0.211
0.845 0.920 0.711
```

Properties
Total moment in μB per cell: 3.99
Energy in eV per cell: -85.89
*/

**Assignment**
Next, return everything earlier on verbatim.

**Completed**
First-principles (PBE) data for a geometry-optimized YCuGePt2 structure, as listed in Alexandria via LeMat-Bulk.

Values from the calculation:
Calculated formation energy in meV/atom: 936
Calculated volume in A^3/atom: 26.3
SG: No. 123
Raw total energy in eV/atom: -4.515

extended XYZ file:
```
5
Lattice="5.137 0.000 0.000 0.000 5.137 0.000 0.000 0.000 4.991" Properties=species:S:1:pos:R:3 pbc="T T T"
Y 0.000 0.000 0.000
Cu 0.000 0.000 2.496
Ge 2.568 2.568 2.496
Pt 0.000 2.568 0.000
Pt 2.568 0.000 0.000
```

***

First-principles (PBE) data for a geometry-optimized YCuGePt3 structure, as listed in Alexandria via LeMat-Bulk.

Values from the calculation:
Calculated formation energy in meV/atom: -551
Calculated volume in A^3/atom: 18.5
SG: No. 63
Raw total energy in eV/atom: -6.101

extended XYZ file:
```
12
Lattice="3.386 -5.803 0.000 3.386 5.803 0.000 0.000 0.000 5.641" Properties=species:S:1:pos:R:3 pbc="T T T"
Y 3.386 3.484 4.231
Y 3.386 -3.484 1.410
Cu 3.386 0.765 4.231
Cu 3.386 -0.765 1.410
Ge 3.386 4.287 1.410
Ge 3.386 -4.287 4.231
Pt 1.450 0.000 0.000
Pt 1.450 0.000 2.821
Pt 3.386 1.901 1.410
Pt 3.386 -1.901 4.231
Pt 5.322 0.000 0.000
Pt 5.322 0.000 2.821
```


No. 1
Computed, not measured: a relaxed structure of BaNiAg2F8 at the PBE+U level of DFT.

```
BaNiAg2F8
1.0
5.506 0.000 0.000
-2.753 4.768 0.000
0.000 0.000 6.892
Ba Ni Ag F
1 1 2 8
direct
0.000 0.000 0.000
0.000 0.000 0.500
0.333 0.667 0.626
0.667 0.333 0.374
0.079 0.753 0.332
0.247 0.326 0.332
0.326 0.079 0.668
0.333 0.667 0.925
0.667 0.333 0.075
0.674 0.921 0.332
0.753 0.674 0.668
0.921 0.247 0.668
```

Properties
Total moment in μB per cell: 3.90
Energy in eV per cell: -48.47



No. 2
Computed, not measured: a relaxed structure of BaNiAg2F6 at the PBE+U level of DFT.

```
BaNiAg2F6
1.0
5.976 0.000 0.000
0.000 6.173 0.000
-5.630 0.000 8.713
Ba Ni Ag F
2 2 4 12
direct
0.000 0.000 0.000
0.000 0.500 0.500
0.500 0.000 0.500
0.500 0.500 0.000
0.273 0.063 0.753
0.273 0.437 0.253
0.727 0.563 0.747
0.727 0.937 0.247
0.155 0.080 0.289
0.155 0.420 0.789
0.292 0.660 0.069
0.292 0.840 0.569
0.436 0.222 0.082
0.436 0.278 0.582
0.564 0.722 0.418
0.564 0.778 0.918
0.708 0.160 0.431
0.708 0.340 0.931
0.845 0.580 0.211
0.845 0.920 0.711
```

Properties
Total moment in μB per cell: 3.99
Energy in eV per cell: -85.89



No. 3
Computed, not measured: a relaxed structure of Ba2Ni3AgF12 at the PBE+U level of DFT.

```
Ba2Ni3AgF12
1.0
3.629 2.095 5.737
-3.629 2.095 5.737
0.000 -4.190 5.737
Ba Ni Ag F
2 3 1 12
direct
0.112 0.112 0.112
0.888 0.888 0.888
0.000 0.500 0.500
0.500 0.000 0.500
0.500 0.500 0.000
0.500 0.500 0.500
0.084 0.635 0.635
0.211 0.211 0.630
0.211 0.630 0.211
0.365 0.365 0.916
0.365 0.916 0.365
0.370 0.789 0.789
0.630 0.211 0.211
0.635 0.084 0.635
0.635 0.635 0.084
0.789 0.370 0.789
0.789 0.789 0.370
0.916 0.365 0.365
```

Properties
Total moment in μB per cell: 6.49
Energy in eV per cell: -81.56



Please write out number 2 again, unchanged.
Computed, not measured: a relaxed structure of BaNiAg2F6 at the PBE+U level of DFT.

```
BaNiAg2F6
1.0
5.976 0.000 0.000
0.000 6.173 0.000
-5.630 0.000 8.713
Ba Ni Ag F
2 2 4 12
direct
0.000 0.000 0.000
0.000 0.500 0.500
0.500 0.000 0.500
0.500 0.500 0.000
0.273 0.063 0.753
0.273 0.437 0.253
0.727 0.563 0.747
0.727 0.937 0.247
0.155 0.080 0.289
0.155 0.420 0.789
0.292 0.660 0.069
0.292 0.840 0.569
0.436 0.222 0.082
0.436 0.278 0.582
0.564 0.722 0.418
0.564 0.778 0.918
0.708 0.160 0.431
0.708 0.340 0.931
0.845 0.580 0.211
0.845 0.920 0.711
```

Properties
Total moment in μB per cell: 3.99
Energy in eV per cell: -85.89